Local Authors

Local Authors' Guidelines

LAST REVISED January 15, 2023

These Administrative Guidelines interpret and provide operational details for the Board of Trustees’ Meeting Room Policy and Materials Selection Policy.

Local Authors and Illustrators

Persons residing in Flint and Genesee County will qualify as local authors for purposes of these Guidelines.

Persons residing outside the County but with long-time connections to the County (such as working here or having grown up here) may apply to be considered as local authors. The decision of library staff is final.

Local Authors' Collection

We know our community enjoys reading the work of local authors. In order to help connect local authors with the reading public, Gloria Coles Flint Public Library offers a Local Authors’ Collection for both adult and youth audiences.

Submitting a Work to the Local Authors’ Collection

# Unrelated to this piece: calculated molecules
____________
1.
A molecular structure, C56H47Cl3N6O2P2S2Sn. Source: the Open Molecules 2025 dataset; level of theory: ωB97M-V/def2-TZVPD.

Element x y z (Å)
Sn 0.392 -0.244 0.562
N 3.064 -2.747 3.036
C 2.197 -1.872 2.492
S 2.082 -1.981 0.728
N 1.612 -1.028 3.283
N 0.710 -0.163 2.699
C 0.297 0.811 3.439
C -0.559 1.897 3.046
C -0.742 2.915 3.999
C -1.514 4.019 3.725
C -2.122 4.125 2.474
C -1.966 3.142 1.519
C -1.202 2.005 1.789
O -1.158 1.039 0.878
H 3.493 -3.463 2.479
H 3.129 -2.796 4.040
H 0.670 0.817 4.461
H -0.259 2.814 4.964
H -1.650 4.793 4.468
H -2.731 4.992 2.248
H -2.449 3.219 0.554
C -2.011 -4.943 -3.960
C -2.714 -3.585 -3.773
C -3.917 -3.495 -4.721
C -1.709 -2.486 -4.076
C -1.336 -2.181 -5.379
C -0.348 -1.252 -5.669
C 0.294 -0.598 -4.638
C -0.059 -0.871 -3.317
P 0.794 0.079 -2.039
C 0.471 1.796 -2.499
C 1.339 2.516 -3.317
C 0.994 3.796 -3.723
C -0.211 4.354 -3.316
C -1.075 3.635 -2.502
C -0.738 2.356 -2.092
C 2.541 -0.324 -2.257
C 2.865 -1.596 -2.738
C 4.191 -1.978 -2.857
C 5.202 -1.094 -2.503
C 4.884 0.167 -2.019
C 3.560 0.551 -1.881
C -1.048 -1.809 -3.055
O -1.310 -2.029 -1.730
C -2.421 -2.766 -1.387
C -2.739 -2.765 -0.036
C -3.838 -3.497 0.402
C -4.611 -4.191 -0.508
C -4.266 -4.177 -1.850
C -3.160 -3.478 -2.324
P -1.731 -1.892 1.187
C -2.913 -0.875 2.105
C -2.669 -0.486 3.421
C -3.539 0.379 4.068
C -4.645 0.882 3.400
C -4.884 0.511 2.083
C -4.026 -0.363 1.438
C -1.211 -3.276 2.248
C -1.738 -3.547 3.508
C -1.310 -4.662 4.216
C -0.370 -5.521 3.668
C 0.125 -5.281 2.392
C -0.293 -4.166 1.687
H -1.660 -5.051 -4.987
H -2.702 -5.759 -3.744
H -1.154 -5.036 -3.291
H -3.606 -3.598 -5.759
H -4.440 -2.545 -4.609
H -4.622 -4.302 -4.533
H -1.820 -2.693 -6.199
H -0.081 -1.045 -6.696
H 1.067 0.129 -4.857
H 2.276 2.084 -3.644
H 1.662 4.353 -4.366
H -0.480 5.351 -3.639
H -2.014 4.072 -2.189
H -1.411 1.800 -1.448
H 2.084 -2.286 -3.034
H 4.433 -2.960 -3.240
H 6.238 -1.387 -2.608
H 5.671 0.859 -1.748
H 3.326 1.532 -1.490
H -4.087 -3.517 1.456
H -5.473 -4.753 -0.175
H -4.867 -4.747 -2.545
H -1.801 -0.857 3.951
H -3.350 0.661 5.096
H -5.320 1.560 3.904
H -5.747 0.899 1.558
H -4.228 -0.647 0.413
H -2.501 -2.914 3.937
H -1.727 -4.866 5.193
H -0.038 -6.387 4.224
H 0.825 -5.973 1.941
H 0.081 -4.001 0.684
Cl 7.221 -1.427 3.082
C 6.764 -1.130 1.403
Cl 6.616 -2.662 0.525
Cl 7.937 -0.074 0.612
C 5.458 -0.470 1.387
N 4.435 0.045 1.346
N 2.897 2.121 2.717
C 2.393 2.898 1.750
S 1.574 2.259 0.400
N 2.508 4.217 1.936
C 2.008 5.351 1.225
C 1.718 5.376 -0.132
C 1.268 6.561 -0.702
C 1.113 7.710 0.055
C 1.420 7.680 1.408
C 1.867 6.507 1.989
H 3.083 1.154 2.493
H 3.452 2.525 3.455
H 2.932 4.483 2.814
H 1.849 4.506 -0.755
H 1.050 6.579 -1.761
H 0.767 8.625 -0.405
H 1.313 8.569 2.014
H 2.105 6.489 3.047

Cartesian forces, eV/Å:
-0.683 0.103 -0.073
0.045 0.020 0.045
-0.010 0.026 -0.082
0.124 0.055 0.061
-0.042 -0.078 0.016
0.129 0.065 0.006
-0.006 0.019 0.038
-0.042 0.025 -0.080
0.000 0.047 -0.021
0.062 -0.009 0.078
-0.020 0.000 -0.102
-0.043 0.037 0.095
0.021 -0.109 0.141
____________
# Here the piece continues

Local authors may submit their work for inclusion in the collection using a form provided for that purpose.

Librarians on the Collection staff will determine whether a submitted work is appropriate for the Local Authors Collection using the following criteria:

  • Suitability of subject, style, and level for the intended audience
  • Quality of writing, including spelling and grammar
  • Quality of layout, production, and illustrations
  • Professional reviews, if available.

The Local Authors Collection will be comprised of books donated by their authors. Donated materials not added to the Library’s collection may be picked up by the author from library administration.

  • Items in the collection will appear as circulating materials in our online catalog. 
  • Both traditionally published and self-published works will be considered for this collection. The Library cannot add ebooks.
  • Family histories and other similar items may be shelved in the Local History & Genealogy Department when appropriate.
  • Authors must represent and warrant that they have full ownership and/or legal rights to publish all material in this book, including artwork.
  • Items added to the collection that do not circulate regularly will be subject to removal as part of the Library’s regular deselection process.

To submit an item for consideration

Fill out the Local Author Collection and Book Signing Event Submission Form and deliver or send it along with the book to:

Local Author Submission, Gloria Coles Flint Public Library

1026 E. Kearsley St., Flint, MI 48503

Allow 30 days for a decision and 90 days before the item will reach the shelves and appear in the library catalog, if accepted.

Requesting a Local Author Book Signing Event

Local authors may schedule a book signing event whether or not their book has been submitted or approved for inclusion in the Local Authors’ Collection. Fill out the Local Author Collection and Book Signing Event Submission Form and deliver or send it along with a review copy of the book to:

Local Author Submission, Gloria ColesFlint Public Library
1026 E. Kearsley St., Flint, MI 48503

Staff will briefly review your book for suitability for a book signing event. Unless your book is being added to the Local Authors’ Collection, you may pick up your book from library administration after staff review.

Allow 30 days for a decision on whether your book signing event is authorized.

== Next to the article, the page also holds quantum chemistry results ==
No. 1

To Request a Room Reservation for a Book Signing Event

Staff at rooms@fpl.info  will work with you on the date, time and room arrangements for your event. The Community Room is not available for this event.

Room arrangements will follow the Meeting Room Policy and Guidelines. The author’s library card is required to secure the reservation and the cardholder is responsible for the room and activities taking place within the room.

The Library will waive room setup fees, food fees and audio-visual fees as our contribution to the success of your signing event.

You may sell your books (any for which you are the author, co-author or illustrator) at this event. No admittance fee may be charged, contributions solicited or items sold other than your books.

Only one book signing event of this type may be held per book.

Publicizing Your Book Signing

The author is welcome to publicize this event in print, on social media and by other means. Publicity must not give the impression that the program is sponsored by the Library or part of the Library’s public programming.

To assist with your publicity, the Library will include the event on its website calendar of events. You may submit flyers for our Community Information bulletin board.

Download and print:

Local Author Collection and Book Signing Event Submission Form